Type out the whole of the calculation results underneath without additions, please.
/*
(i)
ORCA calculation (ωB97M-V/def2-TZVPD) on the molecule C3H11ClN2Si.

Values from the calculation:
LUMO energy (eV): 0.77
HOMO-LUMO gap (eV): 9.93
HOMO level (eV): -9.155
SMILES string: CC[Si@](N)(Cl)NC

Positions of all 18 atoms, in Å:
Cl  2.2824  -0.2303  0.8688
Si  0.6564  -0.4455  -0.3685
N  -0.1085  1.1202  -0.5850
N  1.3844  -1.1535  -1.8739
C  -0.5085  -1.6103  0.4961
C  0.2653  2.3485  0.1674
C  -1.5484  -0.7938  1.2806
H  -0.4675  2.2787  1.1035
H  -0.1405  3.2056  -0.3773
H  -2.2341  -1.4806  1.8046
H  -1.0901  -2.3333  -0.0614
H  1.0647  -1.6159  -2.7360
H  -0.9131  -0.0231  1.7937
H  -2.2399  -0.1483  0.6864
H  2.1206  -0.6756  -2.2420
H  0.2131  -2.3591  1.0070
H  1.3806  2.3847  0.5612
H  -0.1169  1.5318  -1.5251

***

(ii)
ORCA calculation (ωB97M-V/def2-TZVPD) on the molecule C3H11ClN2Si.

Values from the calculation:
LUMO energy (eV): 0.81
HOMO-LUMO gap (eV): 9.82
HOMO level (eV): -9.005
SMILES string: CNN[Si](C)(C)Cl

Positions of all 18 atoms, in Å:
Cl  -2.0074  1.5059  -0.4812
Si  -0.9708  -0.2776  -0.2390
N  0.8124  -0.0092  -0.5205
N  1.4491  0.7699  0.5002
C  -0.9327  -0.8167  1.5797
C  -1.6384  -1.7138  -1.2832
C  1.4188  2.1514  0.2616
H  -2.7400  -1.7432  -1.3423
H  -1.3576  -1.6551  -2.4029
H  2.0799  2.3393  -0.6640
H  -0.2914  -1.6862  1.6752
H  -1.1382  -2.6555  -1.0577
H  -1.9973  -0.7533  2.0110
H  -0.3945  0.0248  2.2242
H  0.3445  2.4149  0.0624
H  1.1305  0.0814  -1.4380
H  2.3714  0.4213  0.5529
H  1.5130  2.6424  1.2193

***

Energetically preferred structure: (i) | next structure: +110.6 kJ/mol

* * * * *

1:
Formula: C4H10O3
Source: OMol25
Level of theory: wB97M-V/def2-TZVPD

XYZ file:
```
17
Properties=species:S:1:pos:R:3
C -0.597 0.743 -1.469
O -0.121 0.927 -0.114
C 1.425 1.309 0.069
C -0.346 -0.055 0.961
O -1.647 -0.525 0.887
C 0.580 -1.263 0.949
O 0.495 -1.988 -0.257
H -1.691 0.716 -1.515
H -0.159 -0.151 -1.916
H -0.244 1.635 -1.990
H 1.821 0.640 -0.719
H 1.398 2.320 -0.364
H -0.133 0.569 1.831
H -2.246 0.207 1.080
H 0.278 -1.870 1.818
H 1.613 -0.945 1.089
H -0.425 -2.269 -0.341
```

HOMO level = -7.27 eV
Kohn-Sham gap = 7.7 eV

***

2:
Formula: C4H10O3
Source: OMol25
Level of theory: wB97M-V/def2-TZVPD

XYZ file:
```
17
Properties=species:S:1:pos:R:3
C 0.461 0.275 -0.318
C -0.929 0.495 0.216
O -1.027 0.865 1.506
C -2.060 0.310 -0.576
C -3.360 0.733 -0.319
H 0.281 -0.560 -0.992
H 0.973 -0.110 0.586
H -1.969 0.886 1.746
H -2.022 -0.234 -1.504
H -3.591 1.457 0.468
H -3.969 0.566 -1.203
H 0.989 1.116 -0.743
H 4.291 -0.226 -0.262
O 3.406 -0.134 -0.608
H 2.723 -0.952 -0.401
H 1.963 -2.711 -0.467
O 2.075 -1.996 0.170
```

HOMO level = -7.16 eV
Kohn-Sham gap = 4.1 eV

***

3:
Formula: C4H10O3
Source: OMol25
Level of theory: wB97M-V/def2-TZVPD

XYZ file:
```
17
Properties=species:S:1:pos:R:3
O 0.742 -1.621 1.803
C -0.225 -0.968 1.874
C -1.110 -0.375 0.837
C -0.314 0.380 -0.217
C 0.278 1.701 0.183
O -0.258 2.853 -0.576
H -0.712 -0.717 2.898
H -1.895 0.344 1.409
H -1.829 -1.219 0.374
H 0.313 -0.480 -0.587
H -0.939 0.329 -1.330
H 0.208 2.093 1.285
H 1.334 1.672 -0.054
H -0.990 2.418 -0.965
O 1.845 -2.374 -2.373
H 1.873 -2.114 -1.471
H 1.679 -1.921 -3.090
```

HOMO level = -10.13 eV
Kohn-Sham gap = 10.7 eV

***

4:
Formula: C4H10O3
Source: OMol25
Level of theory: wB97M-V/def2-TZVPD

XYZ file:
```
17
Properties=species:S:1:pos:R:3
C -2.553 0.898 -0.627
O -1.360 0.915 0.123
C -0.441 -0.112 -0.172
C 0.913 0.325 0.314
O 1.029 0.287 1.735
C 1.824 -0.752 -0.285
O 2.898 -1.050 0.548
H -3.096 1.834 -0.450
H -3.170 0.059 -0.296
H -2.369 0.812 -1.711
H -0.458 -1.221 0.192
H -0.425 -0.284 -1.255
H 1.120 1.354 -0.008
H 0.211 -0.072 2.102
H 2.217 -0.404 -1.255
H 1.122 -1.680 -0.398
H 2.537 -0.909 1.441
```

HOMO level = -9.80 eV
Kohn-Sham gap = 10.6 eV

***

Tell me which of them is the most stable. Sure, it is 4.

***

1:
Formula: C4H10O3
Source: OMol25
Level of theory: wB97M-V/def2-TZVPD

XYZ file:
```
17
Properties=species:S:1:pos:R:3
O 0.358 -1.828 0.497
C 0.671 -0.805 -0.042
C 1.176 0.437 0.648
*/
(i)
ORCA calculation (ωB97M-V/def2-TZVPD) on the molecule C3H11ClN2Si.

Values from the calculation:
LUMO energy (eV): 0.77
HOMO-LUMO gap (eV): 9.93
HOMO level (eV): -9.155
SMILES string: CC[Si@](N)(Cl)NC

Positions of all 18 atoms, in Å:
Cl  2.2824  -0.2303  0.8688
Si  0.6564  -0.4455  -0.3685
N  -0.1085  1.1202  -0.5850
N  1.3844  -1.1535  -1.8739
C  -0.5085  -1.6103  0.4961
C  0.2653  2.3485  0.1674
C  -1.5484  -0.7938  1.2806
H  -0.4675  2.2787  1.1035
H  -0.1405  3.2056  -0.3773
H  -2.2341  -1.4806  1.8046
H  -1.0901  -2.3333  -0.0614
H  1.0647  -1.6159  -2.7360
H  -0.9131  -0.0231  1.7937
H  -2.2399  -0.1483  0.6864
H  2.1206  -0.6756  -2.2420
H  0.2131  -2.3591  1.0070
H  1.3806  2.3847  0.5612
H  -0.1169  1.5318  -1.5251

***

(ii)
ORCA calculation (ωB97M-V/def2-TZVPD) on the molecule C3H11ClN2Si.

Values from the calculation:
LUMO energy (eV): 0.81
HOMO-LUMO gap (eV): 9.82
HOMO level (eV): -9.005
SMILES string: CNN[Si](C)(C)Cl

Positions of all 18 atoms, in Å:
Cl  -2.0074  1.5059  -0.4812
Si  -0.9708  -0.2776  -0.2390
N  0.8124  -0.0092  -0.5205
N  1.4491  0.7699  0.5002
C  -0.9327  -0.8167  1.5797
C  -1.6384  -1.7138  -1.2832
C  1.4188  2.1514  0.2616
H  -2.7400  -1.7432  -1.3423
H  -1.3576  -1.6551  -2.4029
H  2.0799  2.3393  -0.6640
H  -0.2914  -1.6862  1.6752
H  -1.1382  -2.6555  -1.0577
H  -1.9973  -0.7533  2.0110
H  -0.3945  0.0248  2.2242
H  0.3445  2.4149  0.0624
H  1.1305  0.0814  -1.4380
H  2.3714  0.4213  0.5529
H  1.5130  2.6424  1.2193

***

Energetically preferred structure: (i) | next structure: +110.6 kJ/mol

* * * * *

1:
Formula: C4H10O3
Source: OMol25
Level of theory: wB97M-V/def2-TZVPD

XYZ file:
```
17
Properties=species:S:1:pos:R:3
C -0.597 0.743 -1.469
O -0.121 0.927 -0.114
C 1.425 1.309 0.069
C -0.346 -0.055 0.961
O -1.647 -0.525 0.887
C 0.580 -1.263 0.949
O 0.495 -1.988 -0.257
H -1.691 0.716 -1.515
H -0.159 -0.151 -1.916
H -0.244 1.635 -1.990
H 1.821 0.640 -0.719
H 1.398 2.320 -0.364
H -0.133 0.569 1.831
H -2.246 0.207 1.080
H 0.278 -1.870 1.818
H 1.613 -0.945 1.089
H -0.425 -2.269 -0.341
```

HOMO level = -7.27 eV
Kohn-Sham gap = 7.7 eV

***

2:
Formula: C4H10O3
Source: OMol25
Level of theory: wB97M-V/def2-TZVPD

XYZ file:
```
17
Properties=species:S:1:pos:R:3
C 0.461 0.275 -0.318
C -0.929 0.495 0.216
O -1.027 0.865 1.506
C -2.060 0.310 -0.576
C -3.360 0.733 -0.319
H 0.281 -0.560 -0.992
H 0.973 -0.110 0.586
H -1.969 0.886 1.746
H -2.022 -0.234 -1.504
H -3.591 1.457 0.468
H -3.969 0.566 -1.203
H 0.989 1.116 -0.743
H 4.291 -0.226 -0.262
O 3.406 -0.134 -0.608
H 2.723 -0.952 -0.401
H 1.963 -2.711 -0.467
O 2.075 -1.996 0.170
```

HOMO level = -7.16 eV
Kohn-Sham gap = 4.1 eV

***

3:
Formula: C4H10O3
Source: OMol25
Level of theory: wB97M-V/def2-TZVPD

XYZ file:
```
17
Properties=species:S:1:pos:R:3
O 0.742 -1.621 1.803
C -0.225 -0.968 1.874
C -1.110 -0.375 0.837
C -0.314 0.380 -0.217
C 0.278 1.701 0.183
O -0.258 2.853 -0.576
H -0.712 -0.717 2.898
H -1.895 0.344 1.409
H -1.829 -1.219 0.374
H 0.313 -0.480 -0.587
H -0.939 0.329 -1.330
H 0.208 2.093 1.285
H 1.334 1.672 -0.054
H -0.990 2.418 -0.965
O 1.845 -2.374 -2.373
H 1.873 -2.114 -1.471
H 1.679 -1.921 -3.090
```

HOMO level = -10.13 eV
Kohn-Sham gap = 10.7 eV

***

4:
Formula: C4H10O3
Source: OMol25
Level of theory: wB97M-V/def2-TZVPD

XYZ file:
```
17
Properties=species:S:1:pos:R:3
C -2.553 0.898 -0.627
O -1.360 0.915 0.123
C -0.441 -0.112 -0.172
C 0.913 0.325 0.314
O 1.029 0.287 1.735
C 1.824 -0.752 -0.285
O 2.898 -1.050 0.548
H -3.096 1.834 -0.450
H -3.170 0.059 -0.296
H -2.369 0.812 -1.711
H -0.458 -1.221 0.192
H -0.425 -0.284 -1.255
H 1.120 1.354 -0.008
H 0.211 -0.072 2.102
H 2.217 -0.404 -1.255
H 1.122 -1.680 -0.398
H 2.537 -0.909 1.441
```

HOMO level = -9.80 eV
Kohn-Sham gap = 10.6 eV

***

Tell me which of them is the most stable. Sure, it is 4.

***

1:
Formula: C4H10O3
Source: OMol25
Level of theory: wB97M-V/def2-TZVPD

XYZ file:
```
17
Properties=species:S:1:pos:R:3
O 0.358 -1.828 0.497
C 0.671 -0.805 -0.042
C 1.176 0.437 0.648